A Many-Splendored Thing


A Many-Splendored Thing

A Many-Splendored Thing is the title of a 1952 book. It was made into 1955 movie titled Love is a Many-Splendored Thing. You probably know the recording by that name which has been covered from 1955 to at least 2012. But neither book, movie, nor song say anything that John didn’t say first. He’s the apostle of love. He uses the verb agapa? 51 of the 142 times it’s used in the NT and he uses the noun agap? 25 of the 117 times. Yet, when I come to texts like ours. I don’t hear love, love, love as the Beetles sing. I hear law, law, law. But that’s all me. Of the 28 verbs in this text only one is an imperative, one a command. “You must remain in My love.” 

His love is many-splendored. Jesus says, “As the Father has loved Me that’s how I have loved you.” At His Baptism and His transfiguration the Father bellowed from heaven: “This is My beloved Son.” Jesus loves me like that? In a New Orleans cemetery, there’s a monument showing mother and child clinging to a shipwreck in a storm. It’s inscribed July 4, 1900. They were the sole survivors of a large estate. It mattered who died last. The court concluded it had to be the child because the mother would’ve kept her safe till she died (En. Of 7700 Illus., 3646). As Shenandoah sang in 1993, “I wanna be loved like that.” Jesus says you are; maybe not by a single human being even by mother, but by God in the flesh.

(Crystal structures, kept here for reference)
____________
This entry pairs a crystal structure of Th4Ge8Mo with its computed X-ray diffraction stick pattern. Radiation: copper Kα. Structure: the PBE geometry in Alexandria.
Peak positions follow from Bragg's law for the DFT cell and can differ from measured ones.

Crystal structure
abc: 4.118 4.218 17.127
angles: 90.00 90.00 90.00
Space group Pmm2 (No. 25)
Symmetry-distinct sites (fractional):
Th 0.000 0.000 0.000 (multiplicity 1)
Th 0.000 0.500 0.486 (multiplicity 1)
Th 0.500 0.000 0.779 (multiplicity 1)
Th 0.500 0.500 0.278 (multiplicity 1)
Ge 0.000 0.000 0.332 (multiplicity 1)
Ge 0.000 0.000 0.619 (multiplicity 1)
Ge 0.000 0.500 0.139 (multiplicity 1)
Ge 0.000 0.500 0.854 (multiplicity 1)
Ge 0.500 0.000 0.139 (multiplicity 1)
Ge 0.500 0.000 0.431 (multiplicity 1)
Ge 0.500 0.500 0.617 (multiplicity 1)
Ge 0.500 0.500 0.945 (multiplicity 1)
Mo 0.000 0.500 0.706 (multiplicity 1)

Top 8 peaks for 2θ = 10–90°, in order of falling intensity:
- (1 1 3), 34.24°, intensity 100
- (0 1 5), 33.71°, intensity 28
- (1 0 2), 23.98°, intensity 28
- (1 0 6), 38.37°, intensity 22
- (0 2 0), 42.88°, intensity 20
- (2 0 0), 43.97°, intensity 19
- (1 1 1), 30.79°, intensity 15
- (0 1 3), 26.27°, intensity 13


Computed powder diffraction line list of Pm3Tm8Sc for Cu Ka, from a structure optimized by DFT (GGA-PBE).

Structural model:
Cell: 6.403 11.015 11.266 Å, 90.00 90.00 90.00°
Space group Immm (No. 71)
Inequivalent atoms, fractional coordinates:
Pm  0.000  0.000  0.000 (multiplicity 2)
Pm  0.000  0.500  0.242 (multiplicity 4)
Tm  0.000  0.165  0.252 (multiplicity 8)
Tm  0.245  0.265  0.000 (multiplicity 8)
Sc  0.000  0.000  0.500 (multiplicity 2)

The 10 most intense peaks (10° ≤ 2θ ≤ 80°), by angle:
____________

It doesn’t take much to know, “Yes, Jesus loves me”, but to remain in that love is far harder. No sooner does the Father bellow His love from heaven at the Jordan; then Satan shows up saying, “Are you really God’s Son? Then why are you hungry? Why don’t you test His love? Why don’t you throw yourself off the temple and see if His angels will catch you as promised? And if you are His beloved Son, why is He sending you the way of suffering and death to gain the kingdoms of the world? Worship me and I can give you them all right now.”

Don’t tell me you don’t know the struggle of remaining in His love. We are ever tempted by our 3 great enemies Devil, World, and Flesh to not believe Jesus really does love us and so give into despair which leads to other great shame and vice. And the unholy 3 have plenty of evidence to make their case that you are unloved. We have health problems, marriage problems, family problems, work problems. The world is going to hell in the proverbial handbasket, and what is the Lord doing? The Lord said the Land of Canaan vomited out it’s people in His judgment over the very things our land is guilty of: child sacrifice, sexual immorality, and idolatry (Lev. 18:25-28) . Yet America goes on sinning with impunity. Can’t you relate to the weeping prophet, Jeremiah? “Listen to the cry of my people from a land far away: ‘Is the Lord not in Zion? Is her King no longer there?…’ The harvest is past, the summer has ended, and we are not saved.’ Since my people are crushed, I am crushed; I mourn, and horror grips me. Is there no balm in Gilead? Is there no physician there? Why then is there no healing for the wound of my people” (8:19-22).

God’s love doesn’t seem that splendid let alone many-splendored. In a sermon Luther has Jesus addressing the struggle to remain in His love in the face of suffering, hardship, heartbreak; maybe even in the face of political upheaval, and a world-wide pandemic? Jesus says, “Let My love be stronger, greater, mightier than the suffering you feel. For I know that the devil will harass you severely for My sake, to sadden and weary you, to make you impatient, to induce you to defect, and to make you say: ‘I wish I had never had anything to do with this!’ That is the sentiment of many right now” (LW, 24, 247). And Luther has Jesus answering that sentiment: “That is not the right attitude. Do not let the devil, the world, or your own flesh overcome you; but think of how I have loved you and still love you. Call to mind what I have spent on you to make you righteous and to save you, to make you acceptable to the Father, to make you His priest and servant and My disciple” (Ibid.).

Getting a whiff now of the many splendidness of His love? There is clean-sheet forgiveness, dried in the fresh-air blessedness, a love that transcends time and space and sin and sinfulness. But then the window to eternal love is shut by that word ‘commandments’. No doubt about it. Jesus says we remain in His love by obeying His commandments. What commandments did Jesus specifically leave His disciples? “Go therefore and make disciples of all nations baptizing and teaching.” “Receive the Holy Spirit whosoever sins you forgive they are forgiven.” “Do this often to bring me back to you.” Hear Luther preach it: “Therefore He wants to say: ‘I am not imposing a heavy burden and load on you, many sacrifices and manifold service of God, or anything that entails great expense or labor. I have imposed the Gospel, Baptism, and the Sacrament on you. And this is no commandment: it is your treasure, which I have given you gratis” (Ibid., 252). We come to be called ‘friends’ of God by being recipients of His benefits not by doing things for God (Ibid., 256).

The commandments of Jesus that you literally ‘observe’ cause you to remain in His love because there is nothing but His love in Baptism, Absolution, and Communion. You know that old illustrations of Jesus at the cross. I asked Jesus how much He loved Me and He stretched out His arms to be nailed to the cross of hell, wrath, and death and said, “This much.” That’s good, but carry it through. Carry it through to the art work on the Lenten Devotions where from the crucified Jesus blood fills the Communion chalice. Carry through to the 16th century painting where Jesus’ blood shoots out His spear-pierced side and onto the head of the painter. Carry it through where the water that flowed from His wounded side fills the Baptismal font. In these 3 is God’s love for you in Christ today. The holy Jesus, bearing your sins, the sins of the world, was sacrificed to pay for them all, and having done so, He was risen from the dead. So, His blood is not coagulated let alone putrid but smells like sweet wine. And Baptismal waters aren’t stagnant but living. And Absolution isn’t the word of a dead man but a living Lord.

You remain in the love of Jesus not when you wade through the sloughs of your sins and sinfulness looking for love there, but when you dive into the living, forgiving, loving waters of Baptism to be washed with more love than any mom ever washed her baby. You remain in Jesus’ love when rather than going by what others, the devil, or even you think about the forgiveness of your sins, you go by His Word of absolution. If His Word sends your sins away no power on earth, under earth, or even in heaven can bring them back to you. You remain in Jesus love for you when you eat His body and drink His blood. The newly married feeding each other cake isn’t meant as point of humor to smear each other with frosting. No, it's a symbol of their bodily care for one another. Well, only Jesus in this marriage gives His Body for Bread and His Blood for Wine. That’s how He expresses His love for us. We express our love for Him by receiving it. More about that later. Tell me: Love like this. How can it not be many-splendored, splendid. Who wouldn’t want to remain in a love like this?

He loves us in Word and Sacrament. We know that love by using them, trusting them, and to some extent this is how we love Him, but Jesus really doesn’t need our love. Our neighbor does, and so the last verse is, “This is my command. Love each other.” Here we go again. It’s relatively easy to love the God you can’t see; your neighbor, your ugly, grouchy, stinking neighbor is another story. That’s why John says the test for loving God you can’t see is not whether you say you do but whether you love the neighbor you do see (1 Jn. 4:20). Gulp.

## The text is interrupted by materials data
For Pm7Ho2Sc2, a structure optimized by DFT (GGA-PBE) gives the calculated powder diffractogram in this record (copper Kα).

Main lines, by angle (10 to 90 degrees two-theta):
| d_spacing | Rel. int. |
| --- | --- |
| 3.380 | 38 |
| 2.928 | 34 |
| 2.875 | 54 |
| 2.823 | 100 |
| 2.723 | 17 |
| 2.646 | 28 |
| 2.599 | 29 |
| 1.650 | 18 |

Crystal structure
a b c (Å): 7.9361 7.9361 6.0817
angles (deg): 104.62 104.62 92.89
Atoms (fractional coordinates):
Pm (0.0000, 0.0000, 0.0000)
Pm (0.0582, 0.5810, 0.8090)
Pm (0.4190, 0.9418, 0.1910)
Pm (0.4218, 0.4218, 0.2041)
Pm (0.5782, 0.5782, 0.7959)
Pm (0.5810, 0.0582, 0.8090)
Pm (0.9418, 0.4190, 0.1910)
Ho (0.2129, 0.2129, 0.5821)
Ho (0.7871, 0.7871, 0.4179)
Sc (0.2232, 0.7768, 0.5000)
Sc (0.7768, 0.2232, 0.5000)

***

For Pm2Ho5Sc5, a structure optimized by DFT (GGA-PBE) gives the calculated powder diffractogram in this record (copper Kα).

Main lines, by angle (10 to 90 degrees two-theta):
| d_spacing | Rel. int. |
| --- | --- |
| 4.551 | 9 |
| 2.805 | 100 |
| 2.429 | 50 |
| 1.718 | 34 |
| 1.466 | 13 |
| 1.464 | 27 |
| 1.402 | 12 |
| 1.115 | 11 |

Crystal structure
a b c (Å): 7.6900 7.6900 10.8580
angles (deg): 115.13 115.13 36.79
Atoms (fractional coordinates):
Pm (0.0833, 0.0833, 0.2453)
Pm (0.9167, 0.9167, 0.7547)
Ho (0.3352, 0.3352, 0.5001)
Ho (0.4116, 0.4116, 0.2476)
Ho (0.5000, 0.5000, 0.0000)
Ho (0.5884, 0.5884, 0.7524)
Ho (0.6648, 0.6648, 0.4999)
Sc (0.0000, 0.0000, 0.5000)
Sc (0.1714, 0.1714, 0.0014)
Sc (0.2488, 0.2488, 0.7533)
Sc (0.7512, 0.7512, 0.2467)
Sc (0.8286, 0.8286, 0.9986)

***

For Pm2Ho5Sc2, a structure optimized by DFT (GGA-PBE) gives the calculated powder diffractogram in this record (copper Kα).

Main lines, by angle (10 to 90 degrees two-theta):
| d_spacing | Rel. int. |
| --- | --- |
| 3.217 | 18 |
| 2.831 | 96 |
| 2.797 | 54 |
| 2.756 | 53 |
| 2.735 | 100 |
| 2.015 | 16 |
| 1.964 | 16 |
| 1.568 | 17 |

Crystal structure
a b c (Å): 5.6728 6.3471 8.7719
angles (deg): 83.25 71.34 66.32
Atoms (fractional coordinates):
Pm (0.2291, 0.2976, 0.3519)
Pm (0.7709, 0.7024, 0.6481)
Ho (0.0982, 0.1366, 0.7534)
Ho (0.2480, 0.5791, 0.8785)
Ho (0.5000, 0.0000, 0.0000)
Ho (0.7520, 0.4209, 0.1215)
Ho (0.9018, 0.8634, 0.2466)
Sc (0.3353, 0.7517, 0.4504)
Sc (0.6647, 0.2483, 0.5496)

=====

The following is a calculated PXRD pattern of Tl2Hg2Sb2Pb3. It was derived from a cell relaxed with PBE, using Cu Ka.
Intensities are scaled so that the largest is 100.

Structural model:
Cell lengths 9.300, 9.300, 9.300 Å; angles 142.20, 142.20, 54.52 degrees
Sites, in units of the cell vectors:
Tl (0.112, 0.112, 0.000)
Tl (0.888, 0.888, 0.000)
Hg (0.000, 0.500, 0.500)
Hg (0.500, 0.000, 0.500)
Sb (0.310, 0.310, 0.000)
Sb (0.690, 0.690, 0.000)
Pb (0.250, 0.750, 0.500)
Pb (0.500, 0.500, 0.000)
Pb (0.750, 0.250, 0.500)

Principal peaks in the range 10° ≤ 2θ ≤ 90°, most intense first:

Lack of love, if persisted in, leads to a denial of what Christ did for us. Jesus says, “My command is this: Love each other as I have loved you.” Notice where it starts. With His love for you. With Him calling you not servants who are always under law but friends who He has told everything. Got that? Everything: the whole story of your sin and sinfulness. The whole truth what God thinks of you is not in your thoughts, in the hidden will of God that allows so much suffering and damns so many, but in what God in Christ tells you in Word and Sacrament. Moreover, whatever you ask the Father in Jesus’ name, Jesus promises His Father will give it. Run with this promise. This is not carte blanche that whatever your heart – which Paul says doesn’t know what it ought to pray for (Rom. 8:26) – asks for it’s going to get. But whatever is consistent with Jesus’ name. The thorn in Paul’s flesh, his being poured out as drink offering, his being abandoned by all at trial, his being able to do nothing with Alexander the coppersmith, all were consistent with Jesus’ name. So, whatever way God answers your prayer, it’s consistent with your being in Jesus’ name.

Loving one’s neighbor starts with knowing God’s many-splendored love for you in Christ. Hear this true story. 35 years ago in LA a couple were seen arguing. The woman sat on a bridge railing when the man attempted to kiss her. She dodged the kiss and fell 50 feet to her death (“Woman Dies in Fall Trying to Avoid Kiss”, Schenectady Gazette, 9-23-86). This is the path of Judas. He wouldn’t believe that though repentant of betraying Jesus, his Lord could forgive him. He went from unbelief, to despair, and to the great shame of suicide. He didn’t think God’s love could extend to where he was. No one can love their neighbor without first knowing that God’s love in Christ not just extends to them but floods their life. The rest of story I just told is that “When the man tried to keep her from falling, he also fell” to his death. That’s Jesus. He loves us to death. His death. That’s how splendid His love for us is. 

Book, movie, song are all about love between people, but Christians know from Paul that even the dizzying heights and depths of human love in marriage is only seeing in a mirror dimly the reality of Christ’s love for His Bride, the Church. That’s many-splendored, and it’s yours. Amen 

Rev. Paul R. Harris

**The page is interrupted by crystal structures:**
Calculated powder diffractogram of Cs2NiIrO6 for Cu Kα (λ = 1.5418 Å), from a crystal structure in Alexandria, relaxed with GGA+U.
No peak broadening, texture or thermal motion is included.

Structure:
Unit cell a=6.4222 b=6.4222 c=5.1828 alpha=90.00 beta=90.00 gamma=120.00
Space group P-3m1 (No. 164)
Symmetry-distinct sites (fractional):
1 Cs 0.3333 0.6667 0.2580 (multiplicity 2)
2 Ni 0.0000 0.0000 0.5000 (multiplicity 1)
3 Ir 0.0000 0.0000 0.0000 (multiplicity 1)
4 O 0.1353 0.2707 0.7730 (multiplicity 6)

Most intense lines, 2θ from 5° to 70°, by angle:
two_theta  d (Å)  Rel. int.
15.93  5.562  44
23.46  3.792  77
27.78  3.211  100
36.67  2.450  41
38.32  2.349  42
46.62  1.948  20
47.99  1.896  32
49.14  1.854  19
56.36  1.633  37
57.39  1.606  17

~~~~~

Record 1
The following is a computed PXRD pattern of Tl3Cd. It was derived from DFT lattice parameters and positions (GGA-PBE), using Cu Kα (λ = 1.5418 Å).

Most intense lines, 15° ≤ 2θ ≤ 90°, in order of rising 2θ:
30.1°, d 2.968, intensity 30
31.9°, d 2.806, intensity 100
32.2°, d 2.782, intensity 94
32.4°, d 2.766, intensity 56
33.6°, d 2.665, intensity 35
36.2°, d 2.481, intensity 31
37.9°, d 2.372, intensity 20
49.3°, d 1.847, intensity 22
57.1°, d 1.613, intensity 20
62.5°, d 1.486, intensity 46

Atomic structure:
```
Tl3Cd
1.0
1.7582 -6.7199 0.0000
1.7582 6.7199 0.0000
0.0000 0.0000 9.9237
Tl Cd
6 2
Direct
0.0319 0.9681 0.7500 Tl
0.3705 0.6295 0.5336 Tl
0.3705 0.6295 0.9664 Tl
0.6295 0.3705 0.0336 Tl
0.6295 0.3705 0.4664 Tl
0.9681 0.0319 0.2500 Tl
0.2537 0.7463 0.2500 Cd
0.7463 0.2537 0.7500 Cd
```

---

Record 2
The following is a computed PXRD pattern of TlCd4. It was derived from DFT lattice parameters and positions (GGA-PBE), using Cu Kα (λ = 1.5418 Å).

Most intense lines, 15° ≤ 2θ ≤ 90°, in order of rising 2θ:
24.7°, d 3.605, intensity 22
30.4°, d 2.943, intensity 80
32.9°, d 2.725, intensity 63
35.2°, d 2.549, intensity 18
37.4°, d 2.403, intensity 100
45.4°, d 2.000, intensity 17
50.6°, d 1.802, intensity 19
55.6°, d 1.654, intensity 42
64.6°, d 1.442, intensity 22
75.8°, d 1.255, intensity 16

Atomic structure:
```
TlCd4
1.0
-5.0981 5.0981 5.0981
5.0981 -5.0981 5.0981
5.0981 5.0981 -5.0981
Tl Cd
4 16
Direct
0.0000 0.0000 0.5748 Tl
0.0000 0.5748 0.0000 Tl
0.4252 0.4252 0.4252 Tl
0.5748 0.0000 0.0000 Tl
0.0000 0.0000 0.2212 Cd
0.0000 0.2212 0.0000 Cd
0.0000 0.3490 0.3490 Cd
0.0000 0.6510 0.6510 Cd
0.2212 0.0000 0.0000 Cd
0.2500 0.5000 0.7500 Cd
0.2500 0.7500 0.5000 Cd
0.3490 0.0000 0.3490 Cd
0.3490 0.3490 0.0000 Cd
0.5000 0.2500 0.7500 Cd
0.5000 0.7500 0.2500 Cd
0.6510 0.0000 0.6510 Cd
0.6510 0.6510 0.0000 Cd
0.7500 0.2500 0.5000 Cd
0.7500 0.5000 0.2500 Cd
0.7788 0.7788 0.7788 Cd
```

---

Record 3
The following is a computed PXRD pattern of Tl8Cd3. It was derived from DFT lattice parameters and positions (GGA-PBE), using Cu Kα (λ = 1.5418 Å).

Most intense lines, 15° ≤ 2θ ≤ 90°, in order of rising 2θ:
30.9°, d 2.896, intensity 56
31.3°, d 2.859, intensity 66
**End of the crystal structures:**

Trinity Lutheran Church, Austin, Texas

Sixth Sunday of Easter (20210509); John 15:9-17